The reader should give back the listing below exactly.

<<<
Structure and computed powder X-ray diffraction pattern of Er8Os2Pt (a crystal structure in Alexandria, relaxed with PBE; Cu Kα, 1.54184 Å).
Intensities are scaled so that the largest is 100.

```
Er8Os2Pt
1.0
4.244 -6.200 0.000
4.244 6.200 0.000
-1.728 0.000 5.451
Er Os Pt
8 2 1
Cartesian
0.000 0.000 0.000 Er
0.318 1.630 3.276 Er
2.779 2.742 1.052 Er
0.318 -1.630 3.276 Er
3.444 1.631 4.327 Er
2.779 -2.742 1.052 Er
3.444 -1.631 4.327 Er
5.554 0.000 2.109 Er
1.880 3.871 3.775 Os
1.880 -3.871 3.775 Os
3.040 0.000 0.277 Pt
```

Main lines, most intense first (10° ≤ 2θ ≤ 90°):
| Position (°2θ) | I/Imax |
| --- | --- |
| 33.1 | 100 |
| 33.2 | 96 |
| 31.1 | 83 |
| 39.9 | 82 |
| 40.1 | 75 |
| 36.5 | 64 |


No. 1
# Sr2Li3Al12Rh
Theoretical XRD peak list, CuKα. Input: a structure optimized by DFT (GGA-PBE).

abc: 6.5900 6.5900 29.5278
angles: 90.00 90.00 120.00
Space group R-3m (No. 166, hexagonal axes)
Unique sites:
Sr1 0.0000 0.0000 0.1446 x6
Li1 0.0000 0.5000 0.0000 x9
Al1 0.0423 0.5211 0.1006 x18
Al2 0.0643 0.5322 0.6194 x18
Rh1 0.0000 0.0000 0.5000 x3

Principal peaks in the range 2θ = 5–70°, in order of rising 2θ:
Position (°2θ), d/Å, Rel. int., index
8.98, 9.843, 100, 0 0 3
16.65, 5.323, 25, 0 1 2
27.06, 3.295, 25, 1 1 0
28.57, 3.125, 88, 1 1 3
32.71, 2.738, 54, 1 1 6
33.67, 2.662, 32, 0 2 4
37.01, 2.429, 34, 0 1 11
39.93, 2.258, 36, 2 0 8
48.75, 1.868, 22, 0 3 3
51.50, 1.775, 24, 3 0 6
55.81, 1.647, 28, 2 2 0
61.49, 1.508, 17, 1 2 14



No. 2
# AcUTe2N
Theoretical XRD peak list, CuKα. Input: a structure optimized by DFT (GGA-PBE).

abc: 4.130 4.130 17.409
angles: 90.00 90.00 90.00
Space group P4/nmm (No. 129, origin choice 2)
Unique sites:
Ac1 0.250 0.250 0.153 x2
U1 0.250 0.250 0.560 x2
Te1 0.250 0.250 0.337 x2
Te2 0.250 0.250 0.924 x2
N1 0.250 0.750 0.500 x2

Principal peaks in the range 2θ = 5–70°, in order of rising 2θ:
Position (°2θ), d/Å, Rel. int., index
5.08, 17.409, 13, 0 0 1
10.16, 8.705, 14, 0 0 2
15.27, 5.803, 13, 0 0 3
20.41, 4.352, 14, 0 0 4
22.12, 4.019, 15, 1 0 1
23.85, 3.731, 13, 1 0 2
26.49, 3.365, 32, 1 0 3
30.61, 2.920, 74, 1 1 0
33.67, 2.662, 100, 1 0 5
37.07, 2.425, 15, 1 1 4
43.84, 2.065, 30, 2 0 0
56.39, 1.632, 47, 2 1 5



No. 3
# PuPAu
Theoretical XRD peak list, CuKα. Input: a structure optimized by DFT (GGA-PBE).

abc: 11.130 4.179 5.374
angles: 90.00 90.14 90.00
Space group C2/m (No. 12)
Unique sites:
Pu1 0.141 0.000 0.250 x4
P1 0.188 0.000 0.750 x4
Au1 0.060 0.500 0.751 x4

Principal peaks in the range 2θ = 5–70°, in order of rising 2θ:
Position (°2θ), d/Å, Rel. int., index
28.21, 3.163, 100, 1 1 1
32.25, 2.776, 87, 3 1 0
33.35, 2.687, 70, 0 0 2
36.39, 2.469, 81, 3 1 -1
36.47, 2.464, 46, 3 1 1
43.30, 2.090, 34, 0 2 0
47.02, 1.932, 31, 3 1 -2
47.12, 1.929, 31, 3 1 2
52.16, 1.754, 25, 6 0 -1
55.73, 1.649, 33, 0 2 2
57.79, 1.596, 19, 4 2 -1
62.50, 1.486, 17, 7 1 0



No. 4
# Pm3Dy6Er2Mg
Theoretical XRD peak list, CuKα. Input: a structure optimized by DFT (GGA-PBE).

abc: 6.151 10.663 11.691
angles: 90.00 100.18 90.00
Space group C2/m (No. 12)
Unique sites:
Pm1 0.000 0.000 0.000 x2
Pm2 0.000 0.334 0.000 x4
Dy1 0.247 0.334 0.745 x8
Dy2 0.248 0.000 0.745 x4
Er1 0.000 0.166 0.500 x4
Mg1 0.000 0.500 0.500 x2

Principal peaks in the range 2θ = 5–70°, in order of rising 2θ:
Position (°2θ), d/Å, Rel. int., index
16.84, 5.264, 2, 1 1 0
30.85, 2.898, 100, 1 3 1
31.09, 2.877, 32, 0 0 4
35.85, 2.505, 67, 2 0 2
51.44, 1.776, 24, 0 6 0
51.75, 1.767, 23, 2 0 -6
61.17, 1.515, 10, 2 6 -2
61.30, 1.512, 23, 4 0 0
61.39, 1.510, 9, 3 3 3
61.61, 1.505, 14, 1 3 -7
64.28, 1.449, 12, 4 0 -4
64.82, 1.438, 4, 0 0 8



No. 5
# Pr3Zn9Si2
Theoretical XRD peak list, CuKα. Input: a structure optimized by DFT (GGA-PBE).

abc: 4.371 9.790 12.533
angles: 90.00 90.00 90.00
Space group Immm (No. 71)
Unique sites:
Pr1 0.000 0.000 0.000 x2
Pr2 0.000 0.000 0.315 x4
Zn1 0.000 0.273 0.136 x8
Zn2 0.000 0.369 0.336 x8
Zn3 0.000 0.500 0.000 x2
Si1 0.000 0.222 0.500 x4

Principal peaks in the range 2θ = 5–70°, in order of rising 2θ:
>>>

Structure and computed powder X-ray diffraction pattern of Er8Os2Pt (a crystal structure in Alexandria, relaxed with PBE; Cu Kα, 1.54184 Å).
Intensities are scaled so that the largest is 100.

```
Er8Os2Pt
1.0
4.244 -6.200 0.000
4.244 6.200 0.000
-1.728 0.000 5.451
Er Os Pt
8 2 1
Cartesian
0.000 0.000 0.000 Er
0.318 1.630 3.276 Er
2.779 2.742 1.052 Er
0.318 -1.630 3.276 Er
3.444 1.631 4.327 Er
2.779 -2.742 1.052 Er
3.444 -1.631 4.327 Er
5.554 0.000 2.109 Er
1.880 3.871 3.775 Os
1.880 -3.871 3.775 Os
3.040 0.000 0.277 Pt
```

Main lines, most intense first (10° ≤ 2θ ≤ 90°):
| Position (°2θ) | I/Imax |
| --- | --- |
| 33.1 | 100 |
| 33.2 | 96 |
| 31.1 | 83 |
| 39.9 | 82 |
| 40.1 | 75 |
| 36.5 | 64 |


No. 1
# Sr2Li3Al12Rh
Theoretical XRD peak list, CuKα. Input: a structure optimized by DFT (GGA-PBE).

abc: 6.5900 6.5900 29.5278
angles: 90.00 90.00 120.00
Space group R-3m (No. 166, hexagonal axes)
Unique sites:
Sr1 0.0000 0.0000 0.1446 x6
Li1 0.0000 0.5000 0.0000 x9
Al1 0.0423 0.5211 0.1006 x18
Al2 0.0643 0.5322 0.6194 x18
Rh1 0.0000 0.0000 0.5000 x3

Principal peaks in the range 2θ = 5–70°, in order of rising 2θ:
Position (°2θ), d/Å, Rel. int., index
8.98, 9.843, 100, 0 0 3
16.65, 5.323, 25, 0 1 2
27.06, 3.295, 25, 1 1 0
28.57, 3.125, 88, 1 1 3
32.71, 2.738, 54, 1 1 6
33.67, 2.662, 32, 0 2 4
37.01, 2.429, 34, 0 1 11
39.93, 2.258, 36, 2 0 8
48.75, 1.868, 22, 0 3 3
51.50, 1.775, 24, 3 0 6
55.81, 1.647, 28, 2 2 0
61.49, 1.508, 17, 1 2 14



No. 2
# AcUTe2N
Theoretical XRD peak list, CuKα. Input: a structure optimized by DFT (GGA-PBE).

abc: 4.130 4.130 17.409
angles: 90.00 90.00 90.00
Space group P4/nmm (No. 129, origin choice 2)
Unique sites:
Ac1 0.250 0.250 0.153 x2
U1 0.250 0.250 0.560 x2
Te1 0.250 0.250 0.337 x2
Te2 0.250 0.250 0.924 x2
N1 0.250 0.750 0.500 x2

Principal peaks in the range 2θ = 5–70°, in order of rising 2θ:
Position (°2θ), d/Å, Rel. int., index
5.08, 17.409, 13, 0 0 1
10.16, 8.705, 14, 0 0 2
15.27, 5.803, 13, 0 0 3
20.41, 4.352, 14, 0 0 4
22.12, 4.019, 15, 1 0 1
23.85, 3.731, 13, 1 0 2
26.49, 3.365, 32, 1 0 3
30.61, 2.920, 74, 1 1 0
33.67, 2.662, 100, 1 0 5
37.07, 2.425, 15, 1 1 4
43.84, 2.065, 30, 2 0 0
56.39, 1.632, 47, 2 1 5



No. 3
# PuPAu
Theoretical XRD peak list, CuKα. Input: a structure optimized by DFT (GGA-PBE).

abc: 11.130 4.179 5.374
angles: 90.00 90.14 90.00
Space group C2/m (No. 12)
Unique sites:
Pu1 0.141 0.000 0.250 x4
P1 0.188 0.000 0.750 x4
Au1 0.060 0.500 0.751 x4

Principal peaks in the range 2θ = 5–70°, in order of rising 2θ:
Position (°2θ), d/Å, Rel. int., index
28.21, 3.163, 100, 1 1 1
32.25, 2.776, 87, 3 1 0
33.35, 2.687, 70, 0 0 2
36.39, 2.469, 81, 3 1 -1
36.47, 2.464, 46, 3 1 1
43.30, 2.090, 34, 0 2 0
47.02, 1.932, 31, 3 1 -2
47.12, 1.929, 31, 3 1 2
52.16, 1.754, 25, 6 0 -1
55.73, 1.649, 33, 0 2 2
57.79, 1.596, 19, 4 2 -1
62.50, 1.486, 17, 7 1 0



No. 4
# Pm3Dy6Er2Mg
Theoretical XRD peak list, CuKα. Input: a structure optimized by DFT (GGA-PBE).

abc: 6.151 10.663 11.691
angles: 90.00 100.18 90.00
Space group C2/m (No. 12)
Unique sites:
Pm1 0.000 0.000 0.000 x2
Pm2 0.000 0.334 0.000 x4
Dy1 0.247 0.334 0.745 x8
Dy2 0.248 0.000 0.745 x4
Er1 0.000 0.166 0.500 x4
Mg1 0.000 0.500 0.500 x2

Principal peaks in the range 2θ = 5–70°, in order of rising 2θ:
Position (°2θ), d/Å, Rel. int., index
16.84, 5.264, 2, 1 1 0
30.85, 2.898, 100, 1 3 1
31.09, 2.877, 32, 0 0 4
35.85, 2.505, 67, 2 0 2
51.44, 1.776, 24, 0 6 0
51.75, 1.767, 23, 2 0 -6
61.17, 1.515, 10, 2 6 -2
61.30, 1.512, 23, 4 0 0
61.39, 1.510, 9, 3 3 3
61.61, 1.505, 14, 1 3 -7
64.28, 1.449, 12, 4 0 -4
64.82, 1.438, 4, 0 0 8



No. 5
# Pr3Zn9Si2
Theoretical XRD peak list, CuKα. Input: a structure optimized by DFT (GGA-PBE).

abc: 4.371 9.790 12.533
angles: 90.00 90.00 90.00
Space group Immm (No. 71)
Unique sites:
Pr1 0.000 0.000 0.000 x2
Pr2 0.000 0.000 0.315 x4
Zn1 0.000 0.273 0.136 x8
Zn2 0.000 0.369 0.336 x8
Zn3 0.000 0.500 0.000 x2
Si1 0.000 0.222 0.500 x4

Principal peaks in the range 2θ = 5–70°, in order of rising 2θ: